-- File --
Entry from the Materials Project: a relaxed structure of CaNiGe (r2SCAN).

It has space group P4/nmm (No. 129, origin choice 2), with a = 4.154 Å, b = 4.154 Å, c = 6.638 Å, α = 90.00°, β = 90.00° and γ = 90.00°. Symmetry generates all atoms from Ca at (0.250, 0.250, 0.179), Ni at (0.250, 0.750, 0.500) and Ge at (0.250, 0.250, 0.685).

=====

Entry from the Materials Project: a relaxed structure of CaGe2O5 (r2SCAN).

It has space group P-1 (No. 2), with a = 5.426 Å, b = 5.549 Å, c = 6.887 Å, α = 105.21°, β = 101.78° and γ = 106.88°. Symmetry generates all atoms from Ca at (0.161, 0.318, 0.270), Ge at (0.188, 0.319, 0.758), Ge at (0.500, 0.000, 0.000), Ge at (0.500, 0.000, 0.500), O at (0.122, 0.766, 0.436), O at (0.201, 0.114, 0.912), O at (0.239, 0.643, 0.918), O at (0.423, 0.315, 0.615) and O at (0.431, 0.069, 0.254).

The relative energy among the computed polymorphs comes out at 5 meV per atom.

=====
-- To do --
Could you start at the top of the listing above and retype each line, ending with the one that has "meV per"?
-- Worked solution --
Entry from the Materials Project: a relaxed structure of CaNiGe (r2SCAN).

It has space group P4/nmm (No. 129, origin choice 2), with a = 4.154 Å, b = 4.154 Å, c = 6.638 Å, α = 90.00°, β = 90.00° and γ = 90.00°. Symmetry generates all atoms from Ca at (0.250, 0.250, 0.179), Ni at (0.250, 0.750, 0.500) and Ge at (0.250, 0.250, 0.685).

=====

Entry from the Materials Project: a relaxed structure of CaGe2O5 (r2SCAN).

It has space group P-1 (No. 2), with a = 5.426 Å, b = 5.549 Å, c = 6.887 Å, α = 105.21°, β = 101.78° and γ = 106.88°. Symmetry generates all atoms from Ca at (0.161, 0.318, 0.270), Ge at (0.188, 0.319, 0.758), Ge at (0.500, 0.000, 0.000), Ge at (0.500, 0.000, 0.500), O at (0.122, 0.766, 0.436), O at (0.201, 0.114, 0.912), O at (0.239, 0.643, 0.918), O at (0.423, 0.315, 0.615) and O at (0.431, 0.069, 0.254).

The relative energy among the computed polymorphs comes out at 5 meV per atom.